Hello everyone. So it's the end of September and so I thought I'd share with you a few items I have finished this month. I haven't got as much to share with you as previous months but nevertheless I thought you'd be interested.
The first two items I finished this month were make up items. Can you believe this? These are the 2nd and 3rd make up items I've ever finished in my entire life! I know that most of you will think I'm joking but I'm not. I finished a Smashbox powder (which has also been discontinued) and that was the first thing I ever finished. I don't wear make up every day so I don't go through make up very quick but I'm trying to experiment more.
### Between two parts of the piece: records of crystals
<<<
1.
For NiSnP2O8, a DFT-relaxed cell (GGA+U, the Materials Project) gives the theoretical PXRD pattern in this record (Cu Kα (λ = 1.5418 Å)).

Most intense lines, 2θ = 10–90°, low angle first:
| Position (°2θ) | intensity |
| --- | --- |
| 17.33 | 16 |
| 17.71 | 64 |
| 20.10 | 23 |
| 25.06 | 100 |
| 25.25 | 16 |
| 30.03 | 51 |
| 35.71 | 39 |
| 35.88 | 36 |
| 36.38 | 16 |
| 50.41 | 15 |

Structure:
```
data_NiSnP2O8
_chemical_formula_sum 'Ni4 Sn4 P8 O32'
_cell_length_a 4.938
_cell_length_b 11.653
_cell_length_c 11.653
_cell_angle_alpha 61.42
_cell_angle_beta 89.70
_cell_angle_gamma 89.69
_symmetry_space_group_name_H-M 'P 1'
_symmetry_Int_Tables_number 1
loop_
_symmetry_equiv_pos_as_xyz
'x,y,z'
loop_
_atom_site_label
_atom_site_type_symbol
_atom_site_fract_x
_atom_site_fract_y
_atom_site_fract_z
Ni1 Ni 0.000 0.000 0.000
Ni2 Ni 0.000 0.500 0.500
Ni3 Ni 0.879 0.475 0.974
Ni4 Ni 0.880 0.974 0.474
Sn1 Sn 0.392 0.250 0.250
Sn2 Sn 0.392 0.750 0.750
Sn3 Sn 0.488 0.225 0.724
Sn4 Sn 0.488 0.725 0.224
P1 P 0.050 0.317 0.817
P2 P 0.050 0.817 0.317
P3 P 0.342 0.065 0.565
P4 P 0.342 0.565 0.065
P5 P 0.538 0.410 0.409
P6 P 0.538 0.910 0.909
P7 P 0.830 0.157 0.157
P8 P 0.830 0.657 0.657
O1 O 0.100 0.391 0.891
O2 O 0.100 0.891 0.391
O3 O 0.137 0.671 0.671
O4 O 0.138 0.171 0.171
O5 O 0.193 0.428 0.132
O6 O 0.193 0.632 0.927
O7 O 0.193 0.928 0.632
O8 O 0.194 0.132 0.427
O9 O 0.198 0.178 0.879
O10 O 0.198 0.379 0.678
O11 O 0.198 0.678 0.379
O12 O 0.198 0.879 0.178
O13 O 0.235 0.419 0.419
O14 O 0.235 0.919 0.919
O15 O 0.261 0.140 0.640
O16 O 0.261 0.640 0.140
O17 O 0.619 0.335 0.334
O18 O 0.619 0.835 0.834
O19 O 0.644 0.556 0.055
O20 O 0.645 0.056 0.556
O21 O 0.682 0.095 0.296
O22 O 0.682 0.296 0.095
O23 O 0.682 0.595 0.796
O24 O 0.682 0.796 0.595
O25 O 0.686 0.047 0.843
O26 O 0.686 0.343 0.547
O27 O 0.686 0.547 0.343
O28 O 0.686 0.843 0.047
O29 O 0.742 0.303 0.803
O30 O 0.742 0.803 0.303
O31 O 0.780 0.084 0.083
O32 O 0.780 0.584 0.583
```

***

2.
For Ba4Ta10CoO30, a DFT-relaxed cell (GGA+U, the Materials Project) gives the theoretical PXRD pattern in this record (Cu Kα (λ = 1.5418 Å)).

Most intense lines, 2θ = 10–90°, low angle first:
| Position (°2θ) | intensity |
| --- | --- |
| 22.48 | 65 |
| 26.52 | 100 |
| 28.42 | 53 |
| 29.12 | 89 |
| 29.91 | 95 |
| 30.59 | 40 |
| 35.04 | 48 |
| 45.90 | 59 |
| 53.14 | 60 |
| 55.04 | 41 |

Structure:
```
data_Ba4Ta10CoO30
_chemical_formula_sum 'Ba4 Ta10 Co1 O30'
_cell_length_a 10.019
_cell_length_b 10.019
_cell_length_c 10.019
_cell_angle_alpha 133.51
_cell_angle_beta 117.88
_cell_angle_gamma 81.02
_symmetry_space_group_name_H-M 'P 1'
_symmetry_Int_Tables_number 1
loop_
_symmetry_equiv_pos_as_xyz
'x,y,z'
loop_
_atom_site_label
_atom_site_type_symbol
_atom_site_fract_x
_atom_site_fract_y
_atom_site_fract_z
Ba1 Ba 0.000 0.000 0.000
Ba2 Ba 0.396 0.396 0.000
Ba3 Ba 0.397 0.897 0.500
Ba4 Ba 0.987 0.487 0.500
Ta1 Ta 0.007 0.071 0.432
Ta2 Ta 0.007 0.575 0.937
Ta3 Ta 0.194 0.444 0.250
Ta4 Ta 0.194 0.944 0.750
Ta5 Ta 0.388 0.320 0.567
>>>
### The records of crystals stop here
So the first item I finished was the Collection Lasting Perfection Concealer in 01 Fair. A lot of people rave about this concealer and to be honest I can't say I'm a big fan. I used it all up until I couldn't scrape anymore and it was definitely good for highlighting areas of my face but as 'concealing' goes I don't think it's the greatest product for doing that. I found that it didn't conceal my blemishes very well and it went cakey under my eyes. So I'm still on the hunt for a good drugstore concealer so if you could recommend me some in the comments I would be very appreciative. I would give this concealer a rating of 6/10. I don't think it's badly priced at £4.19 but it just looked cakey on my skin and that's a no no from me. I won't be repurchasing this product.
The second item I finished was my Mally everlasting mascara in black. I believe this was limited edition as part of a collection I got for Christmas and I'm really gutted about that because it is the best mascara I have ever used. My auntie bought me this make up as my Christmas present so I'm not sure how much it cost but I know you can't get it anymore. It separated my lashes perfectly and gave me such good volume and length. I used this mascara so much that it had properly dried up and I tried to get it runny again but there was hardly any product left. I absolutely adore this mascara and would give it a rating of 10./10 and if I could repurchase it, I definitely would repurchase it.
Then I finished another Radox Cool Air 24hr Anti-Perspirant Deodorant. I said this in my last post but I seem to go through deodorant so fast in the summer months because I'm using it 2-3 times a day. I really love this roll on but I've since went to repurchase it and it wasn't in store - I'm just hoping it hasn't been discontinued or they've definitely rebranded the packaging. I bought mine from my local Savers. It does the job that it's supposed to do and it was £0.89p and so it's really not expensive and if I can repurchase it, I definitely will. I'd give it a rating of 8/10.
Then I finished a travel size Impulse Sweet Smile which the Pear and Jasmine scent. It's a body fragrance. I got this as part of a set for Christmas so I'm not sure they'll be a link for it. It was very handy to have when out and about as it is very travel friendly. I wouldn't repurchase this though, simply because I have a lot of different body fragrances and I think there are better ones than this on the market. I'm not sure if you can purchase these sizes but I would give it a rating of 5/10.
Here the piece breaks off for calculated crystals >
~~~
For ZnC4N2O6, the GGA-PBE geometry in the Materials Project gives the theoretical powder diffraction line list in this record (Cu Kα, 1.54184 Å).
Kinematic intensities with the Lorentz-polarization factor, no thermal factor.

Peak list (10 most intense, 2θ from 10° to 90°, in order of rising 2θ)
2θ (°)  Rel. int.
13.3  26.0
14.3  61.4
19.6  100.0
20.9  12.3
22.6  16.9
23.3  10.9
28.9  24.3
31.9  11.8
35.8  15.3
46.1  13.0

Crystal structure
Lattice parameters (Å, degrees): 9.018 13.291 8.505 90.00 90.00 90.00
Element x y z (fractional)
1 Zn 0.014 0.241 0.000
2 Zn 0.486 0.741 0.500
3 Zn 0.514 0.259 0.500
4 Zn 0.986 0.759 0.000
5 C 0.000 0.000 0.147
6 C 0.000 0.000 0.522
7 C 0.000 0.500 0.521
8 C 0.000 0.500 0.910
9 C 0.231 0.695 0.274
10 C 0.243 0.804 0.768
11 C 0.257 0.304 0.268
12 C 0.269 0.195 0.774
13 C 0.500 0.000 0.021
14 C 0.500 0.000 0.410
15 C 0.500 0.500 0.022
16 C 0.500 0.500 0.647
17 C 0.731 0.805 0.774
18 C 0.743 0.696 0.268
19 C 0.757 0.196 0.768
20 C 0.769 0.305 0.274
21 N 0.152 0.799 0.868
22 N 0.184 0.193 0.881
23 N 0.316 0.693 0.381
24 N 0.348 0.299 0.368
25 N 0.652 0.701 0.368
26 N 0.684 0.307 0.381
27 N 0.816 0.807 0.881
28 N 0.848 0.201 0.868
29 O 0.009 0.088 0.151
30 O 0.018 0.413 0.906
31 O 0.095 0.439 0.522
32 O 0.098 0.059 0.520
33 O 0.142 0.693 0.167
34 O 0.163 0.315 0.167
35 O 0.337 0.815 0.667
36 O 0.358 0.193 0.667
37 O 0.402 0.559 0.020
38 O 0.405 0.939 0.022
39 O 0.482 0.913 0.406
40 O 0.491 0.588 0.651
41 O 0.509 0.412 0.651
42 O 0.518 0.087 0.406
43 O 0.595 0.061 0.022
44 O 0.598 0.441 0.020
45 O 0.642 0.807 0.667
46 O 0.663 0.185 0.667
47 O 0.837 0.685 0.167
48 O 0.858 0.307 0.167
49 O 0.902 0.941 0.520
50 O 0.905 0.561 0.522
51 O 0.982 0.587 0.906
52 O 0.991 0.912 0.151



For Al2Se3O12, the GGA-PBE geometry in the Materials Project gives the theoretical powder diffraction line list in this record (Cu Kα, 1.54184 Å).
Kinematic intensities with the Lorentz-polarization factor, no thermal factor.

Peak list (10 most intense, 2θ from 10° to 90°, in order of rising 2θ)
2θ (°)  Rel. int.
14.4  19.2
23.7  18.8
24.1  100.0
29.0  12.4
31.8  18.2
32.5  13.8
36.7  8.3
41.9  15.2
44.1  7.6
49.3  5.7

Crystal structure
Lattice parameters (Å, degrees): 8.972 8.972 8.972 56.42 56.42 56.42
Element x y z (fractional)
1 Al 0.144 0.144 0.144
2 Al 0.352 0.352 0.352
3 Al 0.648 0.648 0.648
4 Al 0.856 0.856 0.856
5 Se 0.036 0.460 0.751
6 Se 0.249 0.964 0.540
7 Se 0.460 0.751 0.036
8 Se 0.540 0.249 0.964
9 Se 0.751 0.036 0.460
10 Se 0.964 0.540 0.249
11 O 0.010 0.631 0.797
12 O 0.097 0.882 0.754
13 O 0.118 0.246 0.903
14 O 0.174 0.521 0.221
15 O 0.195 0.483 0.530
16 O 0.203 0.990 0.369
17 O 0.221 0.174 0.521
18 O 0.246 0.903 0.118
19 O 0.369 0.203 0.990
20 O 0.470 0.805 0.517
21 O 0.479 0.779 0.826
22 O 0.483 0.530 0.195
23 O 0.517 0.470 0.805
24 O 0.521 0.221 0.174
25 O 0.530 0.195 0.483
26 O 0.631 0.797 0.010
27 O 0.754 0.097 0.882
28 O 0.779 0.826 0.479
29 O 0.797 0.010 0.631
30 O 0.805 0.517 0.470
31 O 0.826 0.479 0.779
~~~
Then I finished the Beauty Narcotix The Ultimate Fix Spray which is for your nails. I've reviewed this before, so I won't say too much about this but if you want to know what I thought of this product you can read about it here. I'd now rate it about a 7/10 but I wouldn't repurchase it.
So they are all my September Empties, I hope you've enjoyed this post.
What products have you finished this month?